### What to do
Give back all of the calculation results below with every line break kept.

### Listing
~~~
#one
DFT (ωB97M-V/def2-TZVPD) results for a molecular structure, C6H15NO2.

Values from the calculation:
E_HOMO, eV: -7.16

Cartesian coordinates (Å):
C (-1.02948, -0.25689, -0.02628)
C (0.09806, 0.05316, -0.84557)
C (1.30809, 0.31796, 0.82845)
C (-2.04967, -0.69155, -1.69367)
C (-1.81599, 0.87073, 0.58919)
C (2.34491, 1.31622, 0.37793)
N (1.86008, -1.02884, 0.88247)
O (-0.95886, -1.41150, 0.72076)
O (0.83043, -0.88411, -1.47224)
H (-1.79371, -1.53733, 1.18456)
H (1.34969, -1.35457, -0.74196)
H (0.03796, 1.01340, -1.35049)
H (0.83731, 0.61727, 1.77085)
H (2.79549, -1.07004, 1.28345)
H (1.24943, -1.65039, 1.39999)
H (-2.85361, 0.56348, 0.73261)
H (-2.46766, -1.64797, -1.38921)
H (-2.86385, -0.00191, -1.90709)
H (-1.52696, -0.83957, -2.63265)
H (-1.39842, 1.14155, 1.55916)
H (-1.80214, 1.74784, -0.05338)
H (3.22583, 1.33294, 1.03711)
H (2.69430, 1.07599, -0.62879)
H (1.92877, 2.32413, 0.37481)


#two
DFT (ωB97M-V/def2-TZVPD) results for 2 unconnected molecules or ions with the total composition C6H15NO2.

Values from the calculation:
E_HOMO, eV: -8.91
SMILES: CC(C)(O)NCC=O.C

Cartesian coordinates (Å):
C (-1.11772, -0.10275, 0.06802)
C (1.89029, -0.14637, 0.70149)
C (1.13700, -1.23244, -0.06604)
C (-1.58068, -0.85679, 1.32221)
C (-2.29194, 0.19812, -0.85603)
C (1.81692, 1.55155, -0.90760)
N (-0.09806, -0.80649, -0.70803)
O (-0.54243, 1.15765, 0.45192)
O (1.41903, 0.38754, 1.73622)
H (0.65969, 1.36189, -0.36153)
H (0.14145, 0.95420, 1.23081)
H (-0.50471, -1.54631, -1.26167)
H (2.98062, -0.24744, 0.61846)
H (1.79091, -1.61154, -0.85447)
H (0.99756, -2.04084, 0.67408)
H (-0.75305, -1.02895, 2.00845)
H (-2.34280, -0.27859, 1.84305)
H (-2.00169, -1.82339, 1.04222)
H (-1.93812, 0.73444, -1.73452)
H (-2.78550, -0.72296, -1.16869)
H (-3.01609, 0.81697, -0.32962)
H (2.36231, 0.88384, -1.56818)
H (2.48783, 2.15706, -0.30448)
H (1.28917, 2.24160, -1.57606)


#three
DFT (ωB97M-V/def2-TZVPD) results for 3 unconnected molecules or ions with the total composition C6H15NO2.

Values from the calculation:
E_HOMO, eV: -8.84
SMILES: C/C(O)=N\O.C=CC.C

Cartesian coordinates (Å):
C (-0.59770, -1.92494, -0.36211)
C (0.01967, -3.20511, 0.08247)
C (1.77128, -0.57400, 1.36699)
C (-1.65035, -1.33049, 0.23993)
H (-0.24682, -1.53000, -1.30599)
H (-2.06911, -1.76244, 1.13722)
H (-0.34349, -3.51052, 1.06125)
H (1.10501, -3.11045, 0.10466)
H (-0.21367, -3.98771, -0.64334)
H (1.00291, -1.03120, 1.98245)
H (2.05235, 0.36675, 1.83047)
H (2.62948, -1.23028, 1.31441)
H (-1.09697, 0.40193, 0.67682)
H (-2.33259, -0.73899, -0.35557)
C (-0.57234, 3.42964, -0.60441)
N (0.39123, 1.15607, -0.94282)
C (-0.34358, 1.97340, -0.28585)
O (0.92688, 1.54070, -2.16378)
O (-1.03176, 1.49095, 0.73561)
H (1.06744, 2.50091, -2.20140)
H (1.41298, -0.28975, 0.36990)
H (0.37898, 3.96406, -0.66722)
H (-1.17306, 3.86346, 0.19104)
H (-1.08676, 3.53803, -1.56078)


#four
DFT (ωB97M-V/def2-TZVPD) results for C6H15NO2 in the gas phase.

Values from the calculation:
E_HOMO, eV: -9.17
SMILES: C[C@@H](O)[C@@](C)(O)CCN

Cartesian coordinates (Å):
C (0.08273, -0.15817, 0.25596)
C (1.65516, -0.52282, 0.10905)
C (-0.03720, 1.26399, -0.27877)
C (-1.37028, 1.99141, 0.18997)
C (-0.77031, -1.13919, -0.54091)
C (1.96034, -1.92270, 0.62824)
N (-2.56109, 1.37119, -0.36969)
O (-0.20316, -0.22730, 1.63248)
O (2.00074, -0.38297, -1.25610)
H (-1.16338, -0.23535, 1.71906)
H (2.88802, -0.73812, -1.38164)
H (2.21621, 0.20590, 0.71630)
H (-3.39946, 1.82954, -0.02745)
H (-2.55456, 1.46121, -1.38092)
H (-0.01156, 1.23892, -1.36612)
H (0.78890, 1.87183, 0.08917)
H (-1.26473, 3.05112, -0.09416)
H (-1.44699, 1.95809, 1.27985)
H (-0.35609, -1.25048, -1.53920)
H (-0.78328, -2.10946, -0.04938)
H (-1.78716, -0.76120, -0.61388)
H (1.57722, -2.02381, 1.63954)
H (3.03744, -2.09623, 0.64868)
H (1.50246, -2.67541, -0.01008)


Energy above the most stable structure, in eV: #one 3.238; #two 2.431; #three 2.916; #four 0.000


#one
~~~

### Response
#one
DFT (ωB97M-V/def2-TZVPD) results for a molecular structure, C6H15NO2.

Values from the calculation:
E_HOMO, eV: -7.16

Cartesian coordinates (Å):
C (-1.02948, -0.25689, -0.02628)
C (0.09806, 0.05316, -0.84557)
C (1.30809, 0.31796, 0.82845)
C (-2.04967, -0.69155, -1.69367)
C (-1.81599, 0.87073, 0.58919)
C (2.34491, 1.31622, 0.37793)
N (1.86008, -1.02884, 0.88247)
O (-0.95886, -1.41150, 0.72076)
O (0.83043, -0.88411, -1.47224)
H (-1.79371, -1.53733, 1.18456)
H (1.34969, -1.35457, -0.74196)
H (0.03796, 1.01340, -1.35049)
H (0.83731, 0.61727, 1.77085)
H (2.79549, -1.07004, 1.28345)
H (1.24943, -1.65039, 1.39999)
H (-2.85361, 0.56348, 0.73261)
H (-2.46766, -1.64797, -1.38921)
H (-2.86385, -0.00191, -1.90709)
H (-1.52696, -0.83957, -2.63265)
H (-1.39842, 1.14155, 1.55916)
H (-1.80214, 1.74784, -0.05338)
H (3.22583, 1.33294, 1.03711)
H (2.69430, 1.07599, -0.62879)
H (1.92877, 2.32413, 0.37481)


#two
DFT (ωB97M-V/def2-TZVPD) results for 2 unconnected molecules or ions with the total composition C6H15NO2.

Values from the calculation:
E_HOMO, eV: -8.91
SMILES: CC(C)(O)NCC=O.C

Cartesian coordinates (Å):
C (-1.11772, -0.10275, 0.06802)
C (1.89029, -0.14637, 0.70149)
C (1.13700, -1.23244, -0.06604)
C (-1.58068, -0.85679, 1.32221)
C (-2.29194, 0.19812, -0.85603)
C (1.81692, 1.55155, -0.90760)
N (-0.09806, -0.80649, -0.70803)
O (-0.54243, 1.15765, 0.45192)
O (1.41903, 0.38754, 1.73622)
H (0.65969, 1.36189, -0.36153)
H (0.14145, 0.95420, 1.23081)
H (-0.50471, -1.54631, -1.26167)
H (2.98062, -0.24744, 0.61846)
H (1.79091, -1.61154, -0.85447)
H (0.99756, -2.04084, 0.67408)
H (-0.75305, -1.02895, 2.00845)
H (-2.34280, -0.27859, 1.84305)
H (-2.00169, -1.82339, 1.04222)
H (-1.93812, 0.73444, -1.73452)
H (-2.78550, -0.72296, -1.16869)
H (-3.01609, 0.81697, -0.32962)
H (2.36231, 0.88384, -1.56818)
H (2.48783, 2.15706, -0.30448)
H (1.28917, 2.24160, -1.57606)


#three
DFT (ωB97M-V/def2-TZVPD) results for 3 unconnected molecules or ions with the total composition C6H15NO2.

Values from the calculation:
E_HOMO, eV: -8.84
SMILES: C/C(O)=N\O.C=CC.C

Cartesian coordinates (Å):
C (-0.59770, -1.92494, -0.36211)
C (0.01967, -3.20511, 0.08247)
C (1.77128, -0.57400, 1.36699)
C (-1.65035, -1.33049, 0.23993)
H (-0.24682, -1.53000, -1.30599)
H (-2.06911, -1.76244, 1.13722)
H (-0.34349, -3.51052, 1.06125)
H (1.10501, -3.11045, 0.10466)
H (-0.21367, -3.98771, -0.64334)
H (1.00291, -1.03120, 1.98245)
H (2.05235, 0.36675, 1.83047)
H (2.62948, -1.23028, 1.31441)
H (-1.09697, 0.40193, 0.67682)
H (-2.33259, -0.73899, -0.35557)
C (-0.57234, 3.42964, -0.60441)
N (0.39123, 1.15607, -0.94282)
C (-0.34358, 1.97340, -0.28585)
O (0.92688, 1.54070, -2.16378)
O (-1.03176, 1.49095, 0.73561)
H (1.06744, 2.50091, -2.20140)
H (1.41298, -0.28975, 0.36990)
H (0.37898, 3.96406, -0.66722)
H (-1.17306, 3.86346, 0.19104)
H (-1.08676, 3.53803, -1.56078)


#four
DFT (ωB97M-V/def2-TZVPD) results for C6H15NO2 in the gas phase.

Values from the calculation:
E_HOMO, eV: -9.17
SMILES: C[C@@H](O)[C@@](C)(O)CCN

Cartesian coordinates (Å):
C (0.08273, -0.15817, 0.25596)
C (1.65516, -0.52282, 0.10905)
C (-0.03720, 1.26399, -0.27877)
C (-1.37028, 1.99141, 0.18997)
C (-0.77031, -1.13919, -0.54091)
C (1.96034, -1.92270, 0.62824)
N (-2.56109, 1.37119, -0.36969)
O (-0.20316, -0.22730, 1.63248)
O (2.00074, -0.38297, -1.25610)
H (-1.16338, -0.23535, 1.71906)
H (2.88802, -0.73812, -1.38164)
H (2.21621, 0.20590, 0.71630)
H (-3.39946, 1.82954, -0.02745)
H (-2.55456, 1.46121, -1.38092)
H (-0.01156, 1.23892, -1.36612)
H (0.78890, 1.87183, 0.08917)
H (-1.26473, 3.05112, -0.09416)
H (-1.44699, 1.95809, 1.27985)
H (-0.35609, -1.25048, -1.53920)
H (-0.78328, -2.10946, -0.04938)
H (-1.78716, -0.76120, -0.61388)
H (1.57722, -2.02381, 1.63954)
H (3.03744, -2.09623, 0.64868)
H (1.50246, -2.67541, -0.01008)


Energy above the most stable structure, in eV: #one 3.238; #two 2.431; #three 2.916; #four 0.000


#one